Sunday, July 08, 2012

Abundance everywhere

Even in my struggles I look around me and see abundance everywhere.

My beautiful studio window with Chinese brushes from Marianne on display.

-- Crystal structures from another source follow --
┌──
{"formula": "Sc25InIr7", "functional": "PBE-GGA", "state": "optimized geometry", "lattice": [[0.0000, 8.8528, 8.8528], [8.8528, 0.0000, 8.8528], [8.8528, 8.8528, 0.0000]], "species": ["Sc", "Sc", "Sc", "Sc", "Sc", "Sc", "Sc", "Sc", "Sc", "Sc", "Sc", "Sc", "Sc", "Sc", "Sc", "Sc", "Sc", "Sc", "Sc", "Sc", "Sc", "Sc", "Sc", "Sc", "Sc", "Sc", "Sc", "Sc", "Sc", "Sc", "Sc", "Sc", "Sc", "Sc", "Sc", "Sc", "Sc", "Sc", "Sc", "Sc", "Sc", "Sc", "Sc", "Sc", "Sc", "Sc", "Sc", "Sc", "Sc", "Sc", "Ir", "Ir", "Ir", "Ir", "Ir", "Ir", "Ir", "Ir", "Ir", "Ir", "Ir", "Ir", "Ir", "Ir", "In", "In"], "fractional_positions": [[0.2676, 0.4484, 0.5516], [0.4926, 0.9907, 0.3227], [0.8059, 0.5074, 0.6773], [0.7875, 0.2125, 0.7875], [0.9907, 0.3227, 0.4926], [0.4484, 0.5516, 0.2676], [0.9095, 0.9095, 0.9095], [0.2125, 0.2125, 0.7875], [0.3227, 0.9907, 0.1941], [0.6773, 0.0093, 0.8059], [0.7286, 0.0905, 0.0905], [0.9907, 0.4926, 0.1941], [0.4484, 0.7324, 0.5516], [0.2676, 0.5516, 0.7324], [0.1941, 0.9907, 0.4926], [0.5516, 0.4484, 0.7324], [0.5516, 0.2676, 0.4484], [0.3227, 0.4926, 0.9907], [0.5074, 0.6773, 0.8059], [0.0905, 0.0905, 0.0905], [0.2714, 0.9095, 0.9095], [0.9095, 0.9095, 0.2714], [0.6773, 0.5074, 0.0093], [0.4926, 0.3227, 0.1941], [0.7875, 0.7875, 0.2125], [0.0093, 0.6773, 0.5074], [0.3227, 0.1941, 0.4926], [0.0905, 0.0905, 0.7286], [0.9907, 0.1941, 0.3227], [0.4484, 0.2676, 0.7324], [0.2125, 0.7875, 0.2125], [0.7324, 0.5516, 0.4484], [0.7324, 0.2676, 0.5516], [0.2125, 0.7875, 0.7875], [0.9095, 0.2714, 0.9095], [0.0905, 0.7286, 0.0905], [0.5074, 0.8059, 0.0093], [0.1941, 0.3227, 0.9907], [0.8059, 0.6773, 0.0093], [0.0093, 0.8059, 0.6773], [0.5074, 0.0093, 0.6773], [0.5516, 0.7324, 0.2676], [0.2676, 0.7324, 0.4484], [0.7875, 0.2125, 0.2125], [0.0093, 0.5074, 0.8059], [0.8059, 0.0093, 0.5074], [0.7324, 0.4484, 0.2676], [0.6773, 0.8059, 0.5074], [0.1941, 0.4926, 0.3227], [0.4926, 0.1941, 0.9907], [0.0625, 0.9375, 0.3680], [0.0625, 0.6320, 0.9375], [0.9375, 0.3680, 0.0625], [0.3680, 0.9375, 0.6320], [0.3680, 0.6320, 0.0625], [0.5000, 0.5000, 0.5000], [0.3680, 0.0625, 0.9375], [0.9375, 0.6320, 0.3680], [0.0000, 0.0000, 0.0000], [0.0625, 0.3680, 0.6320], [0.9375, 0.0625, 0.6320], [0.6320, 0.0625, 0.3680], [0.6320, 0.3680, 0.9375], [0.6320, 0.9375, 0.0625], [0.7500, 0.7500, 0.7500], [0.2500, 0.2500, 0.2500]], "e_tot_ev_per_atom": -7.35, "vol_a3_per_cell": 1387.6, "ef_kj_per_mol_atoms": -57.82, "spacegroup": "Fm-3, No. 202"}
└──
-- So much for the crystal structures --

Some of my reference art books among gifts from friends.

A closer look.

Art from friends near and far...

Above my computer :)

My beautiful $10 find last year which I fell in love with. Today she hides a glass under her skirt with flowers from my yard.
She's quite happy in my dining room.

I love surrounding myself with fresh flowers.

My sweet yard with statuary I brought back from my yard in California.

On many Sundays, I take myself for country drives.
That's my idea of church. My peace.

I walk past these things every single day and there's not one moment when I don't say 'thank you.'

"Giving thanks for abundance is sweeter than the abundance itself."   ~Rumi~

Thanks for stopping by♥


  1. What treasures you have, and what beauty you are surrounded by. I am so glad you found Marianne and she you, and that KJ and JB are in your life. You are right - we are truly blessed each and every day.
    Love ya Lo. xxx

  2. Thank you for sharing these lovely photos, and I too love that little lady with the flowery skirt.

  3. Your post is very spiritual - calming and yet also uplifting. Lovely images, and words. The cat statue is wonderful! It is true that in so many ways most of us do have abundance to feel blessed about.

  4. What a beautiful studio. Filled with happy things.

  5. You are mightly blessed Lolo.

  6. Thats lovely Lo and it's great to look around and realize what blessings we have.

    LOVE that doll thing - WOW

  7. It is so wonderful to see the place that inspires you daily! Thank you for sharing this lovely place of beauty with us.

  8. Lo, the hydrangeas!!! i know you know how lucky to have so many, blues and purples adorning your yard and house.

    your beautiful $ 10 find is splendid. hmm, a flower skirt. why don't more people walk around with flowers on them?

    and finally, a word about abundance and gratitude. i am blessed to be your friend. thank you ever so much and always. peanut butter and jelly, starfish and seaweed: that's us. ♥


  9. All so beautiful. I love this window every time you show it. And that gal with the flower skirt, lovely. (And I thought I had a lot of books!) :-)

  10. A *visit* to your magical home - even by Blog - is always a delight....every room has its own special flavour...and the backyard....those Hydrangeas......heavenly! Wish I was sitting there now..... sigh...


    ♥ Robin ♥

  11. Lo, Your home and garden are so beautiful! Gratitude is a blessing. Have i told you, I love your header! We Raven girls have to stick together. xoxo

  12. Lo, Your home and garden are so beautiful! Gratitude is a blessing. Have i told you, I love your header! We Raven girls have to stick together. xoxo

  13. beautiful inspiring post dear!
    Yes I do that too when walking around in my home. First of all the roof over my head ( rain is pouring here now....:( )
    But all the things inside too.
    Love to walk around with you and share your feeling of abundance and see all your beautiful things again......and the studio. And ahhh that buddha!
    Nice to see some of my art is among your things. And new art. That piece Suki did for you is just amazing!!!!!
    Thanks for taking me on this walk:)
    Been ehre before but had no time to comment so I took the walk again today.
    Hope to be there one day again

  14. Truly thoughtful and inspiring. Amazing share, with so many beautiful keepsakes and color. I agree that it is so important to stop, pause and just be thankful in the everyday. :)

    I immediately thought of this quote after reading your post, simple yet true:
    "Be a fountain, not a drain" - Rex Hudler

  15. It is so easy to become complacent and even begin to think we 'deserve' all the things we have. We are all so blessed with even life! I just read a book about a woman who dies from cancer and the story is told so heartbreakingly by her husband. I think that life is a gift and all the other things are just added icing on the cake. blessings to you!

  16. Aaah, books, flowers, gifts from friends.
    Truly abundance, all.

    The lady with the skirt is just so clever,,,and oh my, the hydrangeas!!

  17. Beautiful, and gratitude is the appropriate response.

  18. Ahhhhh...what sheer delight to breath in some "Lolo-ness" spirit bountifully expands!

  19. Beautiful find with that doll figure. Delightful photos.

  20. So fun to see your digs, Laurel...and I'm totally jealous of all those Bologna Illustators Exhibition catalogs that you have on your shelf: I only have three!!

    I really enjoyed the raven with the jewels story too...great raven painting!
